Your job: repeat the lines below from the one with "-1.0977 -0.3653" to the one with "-1.7735 -0.5617" character by character.

'''
a:
Below is a molecular structure, C2H4NO2, with properties calculated with ωB97M-V/def2-TZVPD.

The geometry in XYZ format:
```
9
Properties=species:S:1:pos:R:3:lowdin_charge:R:1
C -0.1850 0.7845 0.3782 -0.206
C 0.1098 -0.4628 -0.2608 -0.477
N -1.0977 -0.3653 0.4987 -0.256
O -2.1867 -0.4459 -0.2547 -0.406
O 1.2552 -1.1695 0.1996 -0.074
H 0.2921 0.9255 1.4101 0.100
H -0.3242 1.7561 -0.1067 0.077
H 0.2100 -0.3616 -1.6299 0.198
H 1.9265 -0.6610 -0.2346 0.044
```

- Charge: -1
- HOMO level: -1.61 eV

=====

b:
Below is a gas-phase ion, C2H4NO2 (charge -1), with properties calculated with ωB97M-V/def2-TZVPD.

The geometry in XYZ format:
```
9
Properties=species:S:1:pos:R:3:lowdin_charge:R:1
O 1.6662 -0.9896 0.1547 -0.205
C 0.5424 -0.5122 0.5731 -0.617
N 0.2344 0.8498 0.7024 0.067
C -0.4918 0.0699 -0.5197 -0.438
O -1.7735 -0.5617 -0.5487 -0.301
H 0.0080 -1.1655 1.2822 0.129
H 1.0620 1.2673 0.2674 0.085
H -1.3146 0.8639 -0.4736 0.159
H 0.0668 0.1782 -1.4378 0.121
```

- Charge: -1
- HOMO level: -2.46 eV

=====

Energy ordering: a at the bottom, the next structure 12.1 kJ/mol above.

=====

a:
Below is C18H26N6O in the gas phase, with properties calculated with ωB97M-V/def2-TZVPD.

The geometry in XYZ format:
```
51
Properties=species:S:1:pos:R:3:lowdin_charge:R:1
C -0.2999 -0.2417 3.4508 -0.069
C -0.6552 0.7500 2.3497 -0.358
C -0.1997 2.1612 2.7114 -0.062
C -0.0798 0.3347 0.9770 -0.221
C 1.4072 0.4145 0.9327 -0.271
N 2.2728 0.1975 1.8987 0.081
N 3.4796 0.3738 1.3809 -0.031
N 3.4121 0.6828 0.1553 0.044
N 2.1211 0.7190 -0.1836 -0.060
C 1.6990 1.0717 -1.5123 -0.069
C 0.8311 2.3053 -1.5043 -0.226
C 1.2034 3.4093 -0.7461 -0.040
C 0.4039 4.5373 -0.7166 -0.078
C -0.7698 4.5756 -1.4507 -0.086
C -1.1387 3.4836 -2.2177 -0.076
C -0.3435 2.3509 -2.2431 -0.048
N -0.5914 -0.9884 0.6016 -0.099
C 0.3954 -2.0492 0.5489 -0.177
C -0.3076 -3.3999 0.4620 -0.125
C -1.1650 -3.4687 -0.8081 -0.246
C -0.2673 -3.4743 -2.0421 -0.523
N 0.3231 -4.6712 -2.2680 0.172
O -0.0672 -2.5252 -2.7682 0.055
C -2.1378 -2.2890 -0.7899 -0.120
C -1.4076 -0.9624 -0.5996 -0.179
H -0.6691 -1.2298 3.1920 0.068
H 0.7774 -0.2847 3.5805 0.060
H -0.7570 0.0668 4.3881 0.077
H -1.7440 0.7516 2.2240 0.138
H -0.4267 2.8614 1.9082 0.069
H -0.7037 2.4976 3.6140 0.078
H 0.8716 2.1752 2.8956 0.074
H -0.4463 1.0680 0.2448 0.135
H 1.1720 0.2281 -1.9698 0.121
H 2.6191 1.2538 -2.0772 0.138
H 2.1202 3.3835 -0.1743 0.119
H 0.6987 5.3872 -0.1195 0.106
H -1.3949 5.4555 -1.4256 0.102
H -2.0513 3.5099 -2.7942 0.104
H -0.6363 1.4976 -2.8376 0.113
H 0.9957 -2.0125 1.4596 0.120
H 1.0731 -1.9484 -0.3199 0.130
H 0.4380 -4.1971 0.4772 0.114
H -0.9572 -3.5151 1.3311 0.122
H -1.7350 -4.4050 -0.8113 0.143
H 0.1735 -5.4671 -1.6749 0.103
H 0.9575 -4.7615 -3.0444 0.113
H -2.6977 -2.2504 -1.7256 0.122
H -2.8402 -2.4323 0.0331 0.121
H -2.1465 -0.1640 -0.4915 0.128
H -0.8092 -0.7655 -1.5008 0.096
```

- Charge: 0
- SMILES: CC(C)[C@@H](c1nnnn1Cc1ccccc1)N1CCC(C(N)=O)CC1
- HOMO level: -8.51 eV

=====

b:
Below is C18H26N6O in the gas phase, with properties calculated with ωB97M-V/def2-TZVPD.

The geometry in XYZ format:
```
51
Properties=species:S:1:pos:R:3:lowdin_charge:R:1
C 2.6626 3.5039 -0.0125 -0.021
C 3.4116 2.2111 -0.0145 -0.306
C 4.7960 2.1538 -0.0807 0.020
C 5.3875 0.8900 -0.0948 -0.309
C 6.8670 0.7120 -0.1595 -0.026
N 4.6523 -0.2086 -0.0488 0.191
C 3.3377 -0.0660 0.0119 -0.282
N 2.5897 -1.2176 0.0584 -0.009
N 3.1825 -2.4318 0.0411 0.128
C 2.2200 -3.3190 0.0952 -0.343
C 2.4974 -4.7772 0.0950 -0.034
C 0.9479 -2.6927 0.1501 0.046
C 1.2152 -1.3501 0.1251 -0.196
N 0.4049 -0.2386 0.1535 0.143
C -0.9594 -0.2510 0.2342 -0.406
O -1.6117 -1.2669 0.2842 0.081
C -1.5003 1.1907 0.2524 -0.107
N -2.9095 1.4519 0.3164 -0.168
C -3.6032 1.1747 1.5569 -0.180
C -4.2265 -0.2221 1.6294 -0.177
C -5.1413 -0.4339 0.4269 -0.174
C -4.3441 -0.2446 -0.8643 -0.373
C -5.2267 -0.4185 -2.0950 -0.074
C -3.7144 1.1564 -0.8499 -0.155
N 2.6848 1.0979 0.0328 0.152
H 2.5004 3.8293 -1.0400 0.090
H 1.6929 3.3787 0.4618 0.074
'''

N -1.0977 -0.3653 0.4987 -0.256
O -2.1867 -0.4459 -0.2547 -0.406
O 1.2552 -1.1695 0.1996 -0.074
H 0.2921 0.9255 1.4101 0.100
H -0.3242 1.7561 -0.1067 0.077
H 0.2100 -0.3616 -1.6299 0.198
H 1.9265 -0.6610 -0.2346 0.044
```

- Charge: -1
- HOMO level: -1.61 eV

=====

b:
Below is a gas-phase ion, C2H4NO2 (charge -1), with properties calculated with ωB97M-V/def2-TZVPD.

The geometry in XYZ format:
```
9
Properties=species:S:1:pos:R:3:lowdin_charge:R:1
O 1.6662 -0.9896 0.1547 -0.205
C 0.5424 -0.5122 0.5731 -0.617
N 0.2344 0.8498 0.7024 0.067
C -0.4918 0.0699 -0.5197 -0.438
O -1.7735 -0.5617 -0.5487 -0.301